Contents.
/*
(1)
Molecular formula: C4H10NO3S
Method: DFT, ωB97M-V with the def2-TZVPD basis set

Results
highest occupied orbital energy: -0.17865 Ha
net charge: -1
frontier orbital gap: 8.5634 eV
SMILES string: CCCCNS(=O)(=O)[O-]
energy relative to the best compared isomer or geometry (same formula, charge and spin): 46.91 kJ/mol
largest force on an atom: 2.2 eV Å⁻¹

Last column: Löwdin charge in e.
Element x y z (Å)
C1 -1.846 0.382 -1.932  -0.12
C2 -0.986 -0.287 -0.841  -0.25
C3 0.454 0.289 -0.736  -0.21
C4 0.746 1.009 0.587  -0.27
N1 1.615 0.260 1.523  -0.16
S1 1.131 -1.342 1.819  0.32
O1 1.592 -2.103 0.681  -0.36
O2 1.840 -1.642 3.052  -0.39
O3 -0.287 -1.301 1.974  -0.35
H1 -2.118 -0.342 -2.701  0.05
H2 -2.795 0.741 -1.530  0.05
H3 -1.354 1.234 -2.398  0.05
H4 -1.464 -0.099 0.114  0.08
H5 -0.908 -1.363 -0.969  0.10
H6 0.539 1.048 -1.519  0.08
H7 1.212 -0.457 -0.952  0.09
H8 1.303 1.916 0.329  0.09
H9 -0.171 1.361 1.068  0.10
H10 1.497 0.695 2.433  0.07

---

(2)
Molecular formula: C2H3NO2
Method: DFT, ωB97M-V with the def2-TZVPD basis set

Results
highest occupied orbital energy (spin up / spin down): -0.36828 / -0.34700 Ha
frontier orbital gap (spin up / spin down): 8.6586 / 9.7618 eV
energy relative to the best compared isomer or geometry (same formula, charge and spin): 976.29 kJ/mol
largest force on an atom: 5.1 eV Å⁻¹

Last column: Löwdin charge in e.
Element x y z (Å)
C1 0.129 0.381 -0.095  -0.14
C2 1.269 0.498 -1.015  -0.22
N1 -0.789 0.478 -1.250  0.02
O1 0.882 1.555 -0.171  0.04
O2 0.326 0.335 -2.066  -0.04
H1 -2.015 1.329 1.726  0.07
H2 2.164 0.068 -1.115  0.11
H3 -1.527 -0.308 -1.297  0.16

---

(3)
Molecular formula: C42H56BMnN10S5Se
Method: DFT, ωB97M-V with the def2-TZVPD basis set

Results
highest occupied orbital energy (spin up / spin down): -0.32589 / -0.34189 Ha
net charge: +1
frontier orbital gap (spin up / spin down): 5.5260 / 5.8857 eV
energy relative to the best compared isomer or geometry (same formula, charge and spin): 161.77 kJ/mol
expectation value of S²: 8.771
largest force on an atom: 2.5 eV Å⁻¹
spin multiplicity: 6

Last column: Löwdin charge in e.
Element x y z (Å)
Mn1 2.120 2.068 -0.980  0.05
C1 -2.744 3.848 -0.612  -0.06
C2 -2.685 2.355 -0.631  -0.24
C3 -3.781 1.599 -0.345  0.08
C4 -3.687 0.185 -0.367  -0.20
N1 -2.557 -0.407 -0.605  0.19
N2 -1.462 0.323 -0.896  0.05
B1 -0.286 -0.528 -1.264  -0.49
N3 0.127 -1.541 -0.306  0.06
N4 -0.527 -1.381 0.874  0.15
C5 -0.189 -2.051 1.922  -0.20
C6 0.895 -2.967 1.898  0.08
C7 1.579 -3.166 0.743  -0.27
C8 2.756 -4.084 0.689  -0.07
C9 1.175 -2.455 -0.435  -0.61
S1 1.947 -2.762 -1.895  0.76
C10 -1.032 -1.794 3.164  -0.52
C11 -0.543 -2.581 4.379  -0.05
C12 -2.471 -2.219 2.841  -0.04
C13 -1.004 -0.291 3.480  -0.02
N5 0.070 -0.552 -2.720  0.02
N6 -0.772 -1.555 -3.011  0.17
C14 -0.803 -2.068 -4.200  -0.20
C15 -0.037 -1.469 -5.233  0.08
C16 0.816 -0.443 -4.957  -0.24
C17 1.661 0.188 -6.012  -0.07
C18 0.934 0.003 -3.599  -0.61
S2 2.172 1.091 -3.183  0.73
C19 -1.629 -3.317 -4.419  -0.54
C20 -0.681 -4.400 -4.961  -0.03
C21 -2.240 -3.798 -3.102  -0.04
C22 -2.748 -3.025 -5.426  -0.03
C23 -1.476 1.678 -0.949  -0.52
S3 -0.128 2.584 -1.460  0.75
C24 -4.926 -0.659 -0.116  -0.54
C25 -4.672 -2.130 -0.448  -0.04
C26 -6.083 -0.149 -0.990  -0.04
C27 -5.307 -0.519 1.367  -0.02
H1 -3.764 4.181 -0.428  0.09
H2 -2.402 4.264 -1.559  0.08
H3 -2.099 4.236 0.179  0.08
H4 -4.721 2.081 -0.118  0.13
H5 1.187 -3.493 2.796  0.12
H6 2.846 -4.644 1.619  0.09
H7 3.666 -3.501 0.540  0.08
H8 2.671 -4.775 -0.147  0.06
H9 -0.610 -3.657 4.208  0.09
H10 -1.180 -2.345 5.232  0.09
H11 0.483 -2.321 4.645  0.09
H12 -2.527 -3.293 2.651  0.10
H13 -2.810 -1.691 1.953  0.04
H14 -3.127 -1.982 3.680  0.09
H15 -0.002 0.022 3.779  0.08
H16 -1.698 -0.065 4.291  0.10
H17 -1.291 0.281 2.597  0.08
H18 -0.121 -1.835 -6.248  0.13
H19 1.371 -0.165 -6.999  0.09
H20 2.711 -0.051 -5.838  0.09
H21 1.571 1.274 -5.976  0.08
H22 0.191 -4.500 -4.312  0.08
H23 -0.337 -4.167 -5.969  0.08
H24 -1.195 -5.361 -4.991  0.09
*/

Job.
The reader should start at the top of the entries above and echo each line, ending with the one that has "-0.605".

Here it is.
(1)
Molecular formula: C4H10NO3S
Method: DFT, ωB97M-V with the def2-TZVPD basis set

Results
highest occupied orbital energy: -0.17865 Ha
net charge: -1
frontier orbital gap: 8.5634 eV
SMILES string: CCCCNS(=O)(=O)[O-]
energy relative to the best compared isomer or geometry (same formula, charge and spin): 46.91 kJ/mol
largest force on an atom: 2.2 eV Å⁻¹

Last column: Löwdin charge in e.
Element x y z (Å)
C1 -1.846 0.382 -1.932  -0.12
C2 -0.986 -0.287 -0.841  -0.25
C3 0.454 0.289 -0.736  -0.21
C4 0.746 1.009 0.587  -0.27
N1 1.615 0.260 1.523  -0.16
S1 1.131 -1.342 1.819  0.32
O1 1.592 -2.103 0.681  -0.36
O2 1.840 -1.642 3.052  -0.39
O3 -0.287 -1.301 1.974  -0.35
H1 -2.118 -0.342 -2.701  0.05
H2 -2.795 0.741 -1.530  0.05
H3 -1.354 1.234 -2.398  0.05
H4 -1.464 -0.099 0.114  0.08
H5 -0.908 -1.363 -0.969  0.10
H6 0.539 1.048 -1.519  0.08
H7 1.212 -0.457 -0.952  0.09
H8 1.303 1.916 0.329  0.09
H9 -0.171 1.361 1.068  0.10
H10 1.497 0.695 2.433  0.07

---

(2)
Molecular formula: C2H3NO2
Method: DFT, ωB97M-V with the def2-TZVPD basis set

Results
highest occupied orbital energy (spin up / spin down): -0.36828 / -0.34700 Ha
frontier orbital gap (spin up / spin down): 8.6586 / 9.7618 eV
energy relative to the best compared isomer or geometry (same formula, charge and spin): 976.29 kJ/mol
largest force on an atom: 5.1 eV Å⁻¹

Last column: Löwdin charge in e.
Element x y z (Å)
C1 0.129 0.381 -0.095  -0.14
C2 1.269 0.498 -1.015  -0.22
N1 -0.789 0.478 -1.250  0.02
O1 0.882 1.555 -0.171  0.04
O2 0.326 0.335 -2.066  -0.04
H1 -2.015 1.329 1.726  0.07
H2 2.164 0.068 -1.115  0.11
H3 -1.527 -0.308 -1.297  0.16

---

(3)
Molecular formula: C42H56BMnN10S5Se
Method: DFT, ωB97M-V with the def2-TZVPD basis set

Results
highest occupied orbital energy (spin up / spin down): -0.32589 / -0.34189 Ha
net charge: +1
frontier orbital gap (spin up / spin down): 5.5260 / 5.8857 eV
energy relative to the best compared isomer or geometry (same formula, charge and spin): 161.77 kJ/mol
expectation value of S²: 8.771
largest force on an atom: 2.5 eV Å⁻¹
spin multiplicity: 6

Last column: Löwdin charge in e.
Element x y z (Å)
Mn1 2.120 2.068 -0.980  0.05
C1 -2.744 3.848 -0.612  -0.06
C2 -2.685 2.355 -0.631  -0.24
C3 -3.781 1.599 -0.345  0.08
C4 -3.687 0.185 -0.367  -0.20
N1 -2.557 -0.407 -0.605  0.19